## Data
'''
*A*
{
  "formula": "C2H10NO2",
  "method": "ωB97M-V with the def2-TZVPD basis set",
  "symbols": ["C", "C", "N", "H", "H", "H", "H", "H", "H", "H", "H", "O", "H", "H", "O"],
  "xyz": [[1.799, -0.001, -1.743], [1.746, 0.262, 0.661], [1.160, 0.134, -0.460], [1.347, 0.560, -2.550], [1.595, -0.999, -2.157], [2.855, 0.126, -1.646], [2.809, 0.066, 0.735], [1.132, 0.428, 1.536], [0.141, 0.236, -0.423], [-3.070, -1.596, 1.651], [-2.766, -0.882, 2.859], [-2.600, -0.787, 1.909], [-2.143, 0.146, 0.279], [-2.268, 1.555, -0.291], [-1.738, 0.753, -0.360]],
  "spin_multiplicity": 1,
  "orbital_gap_ev": 10.745,
  "total_charge": 1,
  "mol_weight_g_mol": 80.1,
  "homo_ev": -15.460
}

---

*B*
{
  "formula": "C2H10NO2",
  "method": "ωB97M-V with the def2-TZVPD basis set",
  "symbols": ["C", "C", "N", "H", "H", "H", "H", "H", "H", "H", "H", "O", "H", "H", "O"],
  "xyz": [[-0.393, -0.139, -1.153], [0.220, -0.499, -2.271], [0.407, 0.023, 0.104], [-1.461, -0.169, -1.010], [-0.463, -0.664, -3.094], [1.279, -0.683, -2.355], [1.403, 0.023, -0.120], [0.051, -0.702, 0.751], [0.310, 1.039, 0.337], [0.315, 3.222, 1.571], [-0.820, 3.097, 0.569], [-0.090, 2.622, 0.949], [-0.795, -2.082, 2.433], [0.265, -2.952, 1.628], [-0.229, -2.137, 1.661]],
  "spin_multiplicity": 1,
  "orbital_gap_ev": 11.907,
  "total_charge": 1,
  "mol_weight_g_mol": 80.1,
  "homo_ev": -14.861
}

---

Stability, highest: *B*

=====

Record 1
{
  "formula": "C18H40ClN2",
  "method": "wB97M-V/def2-TZVPD",
  "spin_multiplicity": 1,
  "fmax_ev_per_a": 1.90,
  "gap_ev": 7.35,
  "charge": 1,
  "mol_weight_g_mol": 319.98,
  "relative_energy_kj_mol": 51.2,
  "homo_ev": -9.41,
  "symbols": ["C", "C", "C", "N", "C", "C", "C", "C", "C", "C", "H", "H", "H", "H", "H", "H", "H", "H", "H", "H", "H", "H", "H", "H", "H", "H", "H", "H", "H", "H", "C", "C", "C", "N", "C", "C", "C", "C", "C", "C", "H", "H", "H", "H", "H", "H", "H", "H", "H", "H", "H", "H", "H", "H", "H", "H", "H", "H", "H", "H", "Cl"],
  "xyz": [[29.21, -18.88, -12.75], [29.38, -18.47, -14.20], [28.12, -18.43, -15.04], [28.39, -18.67, -16.55], [27.24, -18.02, -17.31], [25.97, -18.81, -17.05], [26.05, -20.26, -17.51], [27.20, -20.95, -16.80], [28.49, -20.17, -16.86], [29.65, -18.02, -16.97], [28.66, -19.82, -12.62], [28.65, -18.13, -12.20], [30.17, -19.13, -12.30], [30.14, -19.10, -14.68], [29.93, -17.52, -14.25], [27.66, -17.44, -15.09], [27.45, -19.23, -14.75], [27.03, -17.00, -16.98], [27.54, -17.98, -18.36], [25.73, -18.77, -15.99], [25.25, -18.28, -17.68], [25.08, -20.69, -17.30], [26.23, -20.24, -18.59], [26.88, -21.10, -15.76], [27.37, -21.94, -17.23], [29.29, -20.44, -16.18], [28.85, -20.19, -17.89], [30.53, -18.58, -16.66], [29.72, -16.99, -16.63], [29.66, -18.07, -18.06], [34.25, -9.54, -12.55], [33.37, -10.72, -12.20], [33.95, -12.04, -12.67], [32.98, -13.17, -12.86], [31.78, -12.78, -13.72], [30.94, -13.98, -14.14], [31.81, -15.03, -14.82], [32.77, -15.53, -13.71], [33.73, -14.42, -13.32], [32.42, -13.48, -11.50], [33.94, -8.62, -12.06], [34.18, -9.31, -13.62], [35.30, -9.70, -12.32], [32.42, -10.52, -12.71], [33.09, -10.72, -11.14], [34.78, -12.41, -12.07], [34.37, -11.88, -13.68], [32.15, -12.20, -14.57], [31.23, -12.01, -13.19], [30.07, -13.64, -14.70], [30.47, -14.44, -13.27], [32.41, -14.58, -15.61], [31.26, -15.86, -15.23], [33.31, -16.35, -14.18], [32.27, -15.93, -12.82], [34.38, -14.05, -14.11], [34.37, -14.74, -12.51], [31.88, -12.62, -11.11], [33.19, -13.79, -10.81], [31.68, -14.27, -11.57], [27.51, -14.53, -15.30]],
'''

## What to do
Start at the top of the material earlier on and echo each line, ending with the one that has "fmax_ev_per_a", please.

## Solution
*A*
{
  "formula": "C2H10NO2",
  "method": "ωB97M-V with the def2-TZVPD basis set",
  "symbols": ["C", "C", "N", "H", "H", "H", "H", "H", "H", "H", "H", "O", "H", "H", "O"],
  "xyz": [[1.799, -0.001, -1.743], [1.746, 0.262, 0.661], [1.160, 0.134, -0.460], [1.347, 0.560, -2.550], [1.595, -0.999, -2.157], [2.855, 0.126, -1.646], [2.809, 0.066, 0.735], [1.132, 0.428, 1.536], [0.141, 0.236, -0.423], [-3.070, -1.596, 1.651], [-2.766, -0.882, 2.859], [-2.600, -0.787, 1.909], [-2.143, 0.146, 0.279], [-2.268, 1.555, -0.291], [-1.738, 0.753, -0.360]],
  "spin_multiplicity": 1,
  "orbital_gap_ev": 10.745,
  "total_charge": 1,
  "mol_weight_g_mol": 80.1,
  "homo_ev": -15.460
}

---

*B*
{
  "formula": "C2H10NO2",
  "method": "ωB97M-V with the def2-TZVPD basis set",
  "symbols": ["C", "C", "N", "H", "H", "H", "H", "H", "H", "H", "H", "O", "H", "H", "O"],
  "xyz": [[-0.393, -0.139, -1.153], [0.220, -0.499, -2.271], [0.407, 0.023, 0.104], [-1.461, -0.169, -1.010], [-0.463, -0.664, -3.094], [1.279, -0.683, -2.355], [1.403, 0.023, -0.120], [0.051, -0.702, 0.751], [0.310, 1.039, 0.337], [0.315, 3.222, 1.571], [-0.820, 3.097, 0.569], [-0.090, 2.622, 0.949], [-0.795, -2.082, 2.433], [0.265, -2.952, 1.628], [-0.229, -2.137, 1.661]],
  "spin_multiplicity": 1,
  "orbital_gap_ev": 11.907,
  "total_charge": 1,
  "mol_weight_g_mol": 80.1,
  "homo_ev": -14.861
}

---

Stability, highest: *B*

=====

Record 1
{
  "formula": "C18H40ClN2",
  "method": "wB97M-V/def2-TZVPD",
  "spin_multiplicity": 1,
  "fmax_ev_per_a": 1.90,